The Silver Family
Since 2011, Shari and Brian Silver have partnered with the National Fragile X Foundation to support families with expenses associated with traveling to one of the 30+ Fragile X clinics within the United States through their non-profit Fly With Me Fund. The Silvers have helped hundreds of members of the Fragile X community secure comprehensive evaluations, appropriate, cutting edge care as well as participate in both research and clinical trials.
Shari and Brian’s son, Justin, was diagnosed with Fragile X syndrome at the age of five, after suffering a severe grand mal seizure. After having visited multiple pediatric neurologists, they finally found a neurologist who knew to test for Fragile X. This diagnosis was key to helping explain Justin’s developmental delays and to develop an effective treatment plan for him. Additionally, it yielded genetic information for other members of Shari’s family including her father who had lived with Fragile X-associated tremor/ataxia syndrome and her sisters who had suffered Fragile X-associated premature ovarian insufficiency.
_What comes next are records of crystals, not part of the page_
-- begin --
! Nd6PtAu2 PBE-GGA optimized geometry; values from VASP
! density = 8.7 g/cm3
! uncorrected energy = -5.14 eV per atom
! calculated formation energy = -5.0 eV per formula unit
! symmetry = P2_1/c
&SYSTEM
  ibrav = 0, nat = 18, ntyp = 3
/
ATOMIC_SPECIES
Au 196.97 Au.upf
Pt 195.08 Pt.upf
Nd 144.24 Nd.upf
CELL_PARAMETERS angstrom
-4.273 5.345 -0.497
-4.215 -2.842 5.673
6.314 4.833 7.112
ATOMIC_POSITIONS angstrom
Au -0.792 7.633 7.213
Pt 3.157 2.416 3.556
Nd 2.294 7.608 7.279
Au -0.642 3.334 2.329
Nd -2.076 1.588 7.473
Nd 0.921 3.917 8.139
Pt -4.244 1.252 2.588
Au -1.381 -0.298 5.074
Nd -2.793 5.257 7.435
Nd -0.603 6.982 10.172
Nd -0.098 5.747 4.815
Nd 3.994 4.373 5.537
Nd -1.571 0.354 2.116
Nd 0.619 2.078 4.852
Nd -4.468 -0.272 5.009
Nd -3.095 3.419 4.148
Nd -6.168 2.962 6.751
Au -1.532 4.002 9.958

! Nd7Pt2Au2 PBE-GGA optimized geometry; values from VASP
! density = 9.3 g/cm3
! uncorrected energy = -5.43 eV per atom
! calculated formation energy = -7.8 eV per formula unit
! offset from the most stable computed form = 0 meV per atom
! symmetry = Imm2
&SYSTEM
  ibrav = 0, nat = 11, ntyp = 3
/
ATOMIC_SPECIES
Nd 144.24 Nd.upf
Au 196.97 Au.upf
Pt 195.08 Pt.upf
CELL_PARAMETERS angstrom
3.913 0.000 0.839
1.028 8.395 4.748
-0.033 -0.083 9.699
ATOMIC_POSITIONS angstrom
Nd 2.256 5.998 8.565
Au 3.754 7.235 11.126
Nd 1.440 5.832 12.373
Nd 2.888 4.199 5.620
Nd 0.585 1.160 6.814
Nd 3.816 3.104 10.835
Pt 0.779 6.407 5.909
Au 1.377 2.858 3.120
Nd 2.968 8.259 5.247
Nd 3.245 0.692 3.957
Pt 2.306 2.972 8.334

! Nd3Pt8Au PBE-GGA optimized geometry; values from VASP
! density = 15.7 g/cm3
! uncorrected energy = -6.42 eV per atom
! calculated formation energy = -11.2 eV per formula unit
! symmetry = R3m
&SYSTEM
  ibrav = 0, nat = 12, ntyp = 3
/
ATOMIC_SPECIES
Pt 195.08 Pt.upf
-- stop --
_The records of crystals stop here_

Pictured above: Brian, Hailey, Justin, and Shari Silver.
Shari and Brian moved quickly to find experts that could help them understand Fragile X and begin the process of identifying the most beneficial treatments for Justin. Their journey took them to the Fragile X clinics at Boston’s Children’s Hospital, the MIND Institute at UC Davis, and Rush University Hospital. It was at these clinics where they learned about extensive and promising research being done. They also learned about the financial challenge many families face in order to visit a clinic to obtain an evaluation and treatment plan that would benefit their children. Having experienced their own struggle finding an answer and then knowing firsthand the difference Fragile X professionals can make in a family’s ability to deal with FXS, they were inspired to create Fly With Me Fund.
Not only have the Silvers been financial supporters of the NFXF, they have invested their time, talent, and expertise. They have participated in Advocacy Day every year since 2009, often accompanied by their daughter, Hailey. Shari briefly served as co-leader of the Community Support Network of Greater New York City and Brian joined the board of directors of the NFXF in 2013, becoming vice president in 2014 and president in 2016. In 2014, while Brian was employed at Yahoo!, Katie Couric joined the company’s news division. After discussions with Brian, Katie’s interest in FX resulted in the production of a widely viewed Yahoo News interview with Shari and Brian by Katie Couric.
Thank you, Shari and Brian, for your ongoing support and dedication to the NFXF and to helping Fragile X families!